**Brief**
Please filter the material below: keep the lines with the word "of".
**Input**
No. 1
The following is a DFT calculation (the ωB97M-V functional and the def2-TZVPD basis) of a structure of composition C6H9N2 at a distorted geometry.

XYZ file:
```
17
Properties=species:S:1:pos:R:3:lowdin_charge:R:1
C 0.393 -1.140 1.193 0.16
C -1.186 0.346 1.020 -0.35
C -2.276 0.793 1.518 0.14
C -0.715 0.478 -0.419 -0.05
C 1.760 0.399 -0.838 -0.04
C 1.261 -0.827 -1.577 -0.05
N -0.476 -0.560 1.738 0.15
N 0.531 -0.245 -0.507 -0.14
H 1.010 -1.994 1.357 0.14
H -2.417 0.671 2.608 0.12
H -2.949 1.384 0.936 0.09
H -1.474 0.129 -1.019 0.12
H -0.588 1.570 -0.641 0.17
H 2.523 0.232 -0.097 0.13
H 1.711 1.346 -1.182 0.09
H 1.119 -0.781 -2.747 0.18
H 1.770 -1.803 -1.347 0.13
```

Computed properties:
ΔE to the lowest compared entry with this formula, charge and spin = 115.50 kcal per mole
electronic energy = -9337.2446 eV
charge = +1
2S+1 = 1
E_HOMO = -0.527 Ha


No. 2
The following is a DFT calculation (the ωB97M-V functional and the def2-TZVPD basis) of a structure of composition C28H45CaN3O10PSbSe4 at a distorted geometry.

XYZ file:
```
93
Properties=species:S:1:pos:R:3:lowdin_charge:R:1
Ca -0.080 1.444 1.419 1.10
C 1.178 1.302 4.623 -0.10
O 0.062 1.069 3.759 -0.32
C -0.765 -0.019 4.142 -0.19
C -2.091 0.137 3.418 -0.18
O -2.000 -0.324 2.073 -0.24
C -2.566 -1.591 1.863 -0.09
H 0.815 1.377 5.654 0.09
H 1.648 2.231 4.314 0.06
H 1.912 0.502 4.533 0.08
H -0.926 -0.003 5.225 0.12
H -0.294 -0.975 3.876 0.13
H -2.333 1.200 3.368 0.12
H -2.894 -0.376 3.954 0.13
H -3.628 -1.589 2.134 0.10
H -2.053 -2.370 2.439 0.08
H -2.476 -1.819 0.801 0.08
Se 3.400 5.415 3.063 -0.26
Sb 2.862 4.062 1.134 0.13
Se 3.118 1.626 1.698 0.03
Se -0.139 3.036 -0.882 0.59
Se 3.966 4.482 -0.979 -0.24
O 0.619 -0.637 0.710 -0.47
P 1.215 -1.469 -0.404 0.84
C 2.796 -0.703 -0.890 -0.37
C 3.900 -1.533 -1.562 -0.18
C 3.767 -1.601 -3.084 -0.20
C 3.732 -0.189 -3.678 -0.20
C 2.597 0.640 -3.069 -0.18
C 2.683 0.683 -1.542 -0.26
C -0.115 -1.677 -1.646 -0.33
C 0.161 -2.268 -3.034 -0.20
C -1.172 -2.684 -3.683 -0.19
C -2.322 -1.735 -3.297 -0.20
C -1.787 -0.329 -3.030 -0.18
C -0.857 -0.325 -1.803 -0.20
C 1.725 -3.094 0.308 -0.33
C 1.891 -4.297 -0.643 -0.18
C 0.610 -5.111 -0.851 -0.20
C -0.010 -5.526 0.480 -0.21
C -0.335 -4.280 1.299 -0.21
C 0.925 -3.461 1.575 -0.18
H 3.103 -0.492 0.147 0.03
H 3.994 -2.531 -1.128 0.09
H 4.836 -1.013 -1.331 0.13
H 2.848 -2.127 -3.351 0.08
H 4.596 -2.177 -3.506 0.10
H 3.641 -0.235 -4.768 0.10
H 4.684 0.308 -3.453 0.12
H 1.635 0.223 -3.390 0.08
H 2.633 1.667 -3.441 0.12
H 1.850 1.243 -1.121 -0.01
H 3.564 1.259 -1.244 0.07
H -0.778 -2.370 -1.113 0.10
H 0.835 -3.122 -3.005 0.08
H 0.645 -1.511 -3.650 0.09
H -1.421 -3.708 -3.386 0.10
H -1.051 -2.695 -4.770 0.10
H -2.822 -2.098 -2.392 0.11
H -3.078 -1.723 -4.084 0.10
H -2.601 0.375 -2.862 0.11
H -1.247 0.022 -3.916 0.11
H -1.433 -0.114 -0.902 0.10
H -0.143 0.493 -1.890 0.03
H 2.721 -2.810 0.660 0.11
H 2.642 -4.965 -0.204 0.12
H 2.293 -3.981 -1.607 0.09
H 0.835 -5.985 -1.467 0.11
H -0.129 -4.520 -1.398 0.09
H 0.699 -6.153 1.036 0.11
H -0.909 -6.124 0.312 0.10
H -0.810 -4.551 2.246 0.11
H -1.059 -3.674 0.744 0.09
H 1.579 -4.051 2.227 0.12
H 0.677 -2.545 2.112 0.09
O -4.589 8.062 0.869 0.02
N -3.407 7.732 0.835 -0.37
O -2.495 8.541 0.798 0.05
C -3.068 6.325 0.948 -0.15
C -4.076 5.411 1.093 0.05
C -3.775 4.064 1.247 -0.05
C -2.422 3.570 1.249 -0.32
O -2.104 2.361 1.389 -0.20
C -1.426 4.614 1.010 -0.17
C -1.715 5.925 0.907 0.08
N -0.034 4.143 0.859 -0.66
O 0.921 5.120 0.665 -0.41
O 0.328 3.393 1.937 -0.50
N -4.912 3.170 1.417 -0.35
O -4.734 2.048 1.854 0.06
O -6.036 3.615 1.182 0.01
H -5.104 5.730 1.102 0.12
H -0.918 6.638 0.751 0.13
```

Computed properties:
ΔE to the lowest compared entry with this formula, charge and spin = 45.95 kcal per mole
electronic energy = -350361.7287 eV
charge = -2
2S+1 = 1
E_HOMO = -0.056 Ha


No. 3
The following is a DFT calculation (the ωB97M-V functional and the def2-TZVPD basis) of a cluster of 9 separate species, C24H51N3O6S6 in total at a distorted geometry.

XYZ file:
```
90
**Worked solution**
The following is a DFT calculation (the ωB97M-V functional and the def2-TZVPD basis) of a structure of composition C6H9N2 at a distorted geometry.
The following is a DFT calculation (the ωB97M-V functional and the def2-TZVPD basis) of a structure of composition C28H45CaN3O10PSbSe4 at a distorted geometry.
The following is a DFT calculation (the ωB97M-V functional and the def2-TZVPD basis) of a cluster of 9 separate species, C24H51N3O6S6 in total at a distorted geometry.